World War I, which came to an end on the 11th hour of the 11th day of the 11th month of 1918, is today but a faint, sinister memory, recalled only by red poppies and barely noticed Remembrance Day and Veteran’s Day ceremonies. Lest we forget…
The Western Front, December, 1916
Attached: records of molecules
+++
No. 1
{
  "formula": "C8H14AgClO6",
  "method": "ωB97M-V with the def2-TZVPD basis set",
  "elements": ["Ag", "Cl", "O", "C", "C", "O", "H", "H", "H", "H", "O", "C", "C", "O", "H", "H", "H", "H", "O", "C", "O", "C", "C", "C", "H", "H", "H", "H", "H", "H"],
  "coordinates": [[0.524, -1.096, -0.920], [-0.472, -2.880, 0.660], [2.364, 0.457, -0.173], [3.569, -0.153, -0.677], [3.672, -1.724, -0.588], [2.606, -2.610, -0.864], [4.451, 0.442, -0.442], [3.581, -0.049, -1.762], [3.964, -1.994, 0.427], [4.449, -2.305, -1.083], [-0.280, 0.675, -2.212], [-0.858, -0.001, -3.345], [-0.267, -1.354, -3.857], [0.344, -2.259, -2.985], [-0.925, 0.670, -4.202], [-1.885, -0.287, -3.118], [0.536, -1.267, -4.589], [-1.054, -1.919, -4.357], [-0.859, 0.367, 0.733], [-1.412, 1.007, 1.641], [-1.087, 2.291, 1.974], [-1.633, 2.729, 3.194], [-2.268, 1.438, 3.666], [-2.579, 0.541, 2.499], [-2.391, 3.512, 3.196], [-0.926, 2.999, 3.978], [-3.260, 1.673, 4.052], [-1.740, 0.888, 4.446], [-3.490, 0.719, 1.928], [-2.673, -0.509, 2.778]],
  "spin_multiplicity": 2,
  "homo_energy_ev": [3.34, 4.01],
  "charge": -3,
  "s_squared": 0.764,
  "orbital_gap_ev": [3.02, 2.36]
}

No. 2
{
  "formula": "C6H9NO",
  "method": "ωB97M-V with the def2-TZVPD basis set",
  "elements": ["C", "C", "C", "C", "C", "C", "H", "H", "H", "H", "H", "H", "H", "H", "H", "N", "O"],
  "coordinates": [[1.144, 1.533, -0.656], [0.000, -0.176, -0.881], [-1.131, -1.087, -0.155], [-0.264, -1.634, 1.146], [-0.402, -0.056, 1.358], [0.136, 0.784, 0.216], [2.188, 1.181, -0.533], [0.926, 2.633, -0.650], [0.890, 0.709, -2.634], [0.954, -0.823, -1.035], [-1.848, -1.742, -0.680], [0.772, -1.850, 0.884], [-0.784, -2.247, 1.934], [-0.382, 0.316, 2.348], [-0.713, 1.589, 0.252], [0.305, 0.961, -1.795], [-1.790, -0.092, 0.882]],
  "homo_energy_ev": -9.12,
  "charge": 0,
  "orbital_gap_ev": 10.10
}

No. 3
{
  "formula": "C2H27O12",
  "method": "ωB97M-V with the def2-TZVPD basis set",
  "elements": ["C", "C", "O", "H", "H", "H", "H", "H", "O", "H", "H", "O", "H", "H", "O", "H", "H", "O", "H", "H", "O", "H", "H", "O", "H", "H", "O", "H", "H", "O", "H", "H", "O", "H", "H", "O", "H", "H", "O", "H", "H"],
+++
After twelve months of unimaginable slaughter, the battle of Verdun was over. Nearly one million French and Germans were dead or wounded. France rallied to the cry: “On ne passe pas! They shall not pass! An entire French generation perished in the hellish inferno of exploding shells, machinegun fire, flamethrowers, and poison gas, but the Germans had been held.
The battle’s epicenter, forts Douaumont and Vaux, were retaken by French General Robert Nivelle and his deputy, General Charles Mangin, known to all as “the Butcher." The haughty Nivelle, a gunner, had perfected a technique of infantry advancing on the heels of rolling artillery barrages. By this novel method, French infantry was able to storm German trenches while most enemy troops were still sheltering in their bunkers. At Verdun, Nivelle’s new tactic had surprised the Germans dug in around Vaux and Dauaumont, and forced them into a sharp retreat.
The triumphant Nivelle, France’s new hero, was appointed commander of the entire Western Front. Nivelle was convinced he could win the war in one decisive stroke by breaking through German lines in Champagne between Soissons and Reims. “We have the formula," Nivelle boasted, “victory is certain."
France’s 5th and 6th Armies were ordered to smash through the German 1st and 7th Armies, which were dug into a very strong, fortified, 50-mile long position along a narrow crest of hills above the River Aisne known as the Chemin des Dames. This strategic barrier had been the scene of many battles through history, from the days of Charlemagne to Napoleon. Once breakthrough was achieved, the two French armies were to drive on the old fortress city of Laon, and then northward into Belgium.
The four-division Canadian Corps, stationed in Flanders near Arras, 60 miles to the northwest, was ordered to support Nivelle’s offensive by launching a diversionary assault near Lens.
16 April 1917
The message went out to the French troops: “The hour has come! Courage, confidence. Nivelle."
Thousands of French heavy guns, including 405mm monsters, poured massed fire and gas shells on the German positions in the biggest bombardment seen on the Western Front since Verdun and the Somme. A steady rain of shells deluged the German lines, churning up the earth like a giant plough. The French were convinced no enemy troops could have survived the titanic bombardment.
Tough and cocky as always, Gen. Mangin, proclaimed: “the day after tomorrow, my headquarters will be in Laon."
At dawn, hundreds of thousands of French infantry went over the top, preceded by Nivelle’s “secret weapon" of rolling barrages 100 meters ahead of the advancing troops, and some 200 tanks. Not since the heady days of the battle of the frontiers in 1914 had regiments of blue-uniformed “poilus" charged forward with such glorious “elan," sword bayonets fixed, battle standards unfurled, bugles calling, drums beating, crying, “Vive la France!"
In war, a clever enemy is rarely surprised more than once by innovative tactics. The Germans, well aware of Nivelle’s impending offensive, secretly abandoned their front lines. The huge French artillery barrages thus fell on empty trenches and thin air.
The regiments of French infantry surged like a vast tidal wave of blue across half a mile across no-man’s-land, reached German forward defenses on the Aisne, and found them… empty.
As the confused French milled about, or sought shelter in the ruined trenches, thousands of concealed German Maxim machine guns and hundreds of batteries of artillery dug in above on the Chemin des Dames opened murderous fire into the packed French ranks. German gunners knocked out 150 French tanks. The French attack, now halted, became a monstrous massacre. Caught in the open on a 50-mile front, entire battalions were mowed down; whole regiments were turned into bloody pulp by German shrapnel. Attempts by valiant French units to storm the Chemin des Dames and silence the murderous German machine guns were halted by a wall of steel.
_Records of molecules that have nothing to do with the piece_
____________
C31H60F3GaNO19 | ωB97M-V/def2-TZVPD

The calculation puts the energy at -134042.1725 eV. The calculation puts the HOMO energy at -4.41 eV.

ORCA input file:
```
! RIJCOSX wB97M-V def2-TZVPD def2/J DEFGRID3
* xyz -1 1
H -0.837 -15.543 3.445
C -4.405 -12.447 4.740
H 3.305 2.626 -1.965
C -1.787 -16.076 3.438
C -4.360 9.464 -0.075
H 1.165 -1.577 -0.198
O 7.607 0.539 -3.045
C -5.360 -5.023 1.454
C -3.081 -14.295 4.180
H 5.681 0.550 -2.238
C -0.615 5.840 -0.089
C 9.465 3.487 -2.975
H -5.116 2.979 1.478
O -2.028 5.977 0.059
H -6.131 4.338 0.993
H -4.477 -12.866 5.743
C -6.426 -1.019 -0.902
C -4.843 -8.011 0.993
C -5.743 3.365 0.663
O -3.755 7.175 0.532
C 13.063 8.836 -4.175
H -0.098 6.135 0.822
H -0.432 4.789 -0.291
H -4.843 9.093 -0.980
F -3.577 -1.821 -0.828
H -5.345 -4.659 0.427
H 13.586 9.977 -2.419
O 10.983 9.791 -2.784
H -5.597 -0.054 -2.669
C -2.427 7.173 0.482
H 14.846 9.909 -3.656
H 10.786 4.406 -1.557
O -2.481 -14.258 5.223
H 8.633 4.176 -2.832
O 8.959 2.194 -3.343
C -5.640 -1.582 0.240
H -9.449 1.959 2.223
C -4.357 8.391 0.993
H -7.418 -0.777 -0.509
H -4.834 0.435 -1.138
H -1.805 -16.787 2.618
O -4.606 -8.891 0.013
C 11.111 8.601 -2.905
H -2.431 -11.611 5.001
C -3.424 -11.298 4.681
H 6.908 -0.334 -1.297
H 8.675 8.950 -2.123
C 0.146 -1.369 0.128
H 6.308 -1.003 -2.829
C 3.308 2.626 -0.877
H -3.347 -10.914 3.664
H 10.035 3.821 -3.839
H -3.345 9.767 -0.328
C 10.354 3.424 -1.752
C -8.438 2.369 2.248
H 3.578 3.613 -0.515
H -7.279 -5.977 1.294
H -6.585 -1.846 -1.608
H -0.473 -2.240 -0.086
H 9.642 8.616 -0.664
H -6.188 3.010 -2.432
H 13.552 8.214 -4.921
O 12.075 7.978 -3.581
Ga -6.930 1.879 -1.539
C 9.241 8.194 -1.584
O 0.296 1.044 -0.232
H 12.566 9.659 -4.688
C -8.062 2.903 0.867
F -3.664 -2.341 1.290
H -5.375 8.108 1.252
H -5.723 -4.226 2.099
C -4.352 -1.899 0.241
H -3.449 -10.446 -0.570
O 10.300 7.675 -2.395
C -6.258 -6.233 1.568
H -1.922 -16.594 4.384
H 8.601 7.348 -1.352
H -4.906 10.339 0.278
H 4.030 1.897 -0.510
C -3.457 -9.709 0.228
H -6.267 -6.638 2.580
____________
By the next day, the French had lost 120,000 casualties, twice the British losses on the first two days of the catastrophe of the Somme. Nivelle had predicted only 10,000 dead and wounded, and planning medical support accordingly. Wounded French soldiers stormed the few field hospitals in the rear.
Undeterred by human mercy or military sense, and heedless of cost, Nivelle and “Butcher" Mangin kept hurling their men at the Chemin des Dames. After a month of fruitless attacks, French casualties in what became known as the Second Battle of the Aisne reached 187,000.
To the northwest, in the ugly coal fields and slag heaps of Flanders, the Canadian Corps sought to draw off German forces reinforcing the Aisne front by launching large-scale frontal attacks against heavily fortified German positions on Hill 70 near Lens. In this bloody, but almost forgotten action, over 10,000 Canadians died or were wounded, toll exceeded only by the 16,000 casualties at Canada’s Calvary, Passchendaele.
Nivelle finally conceded defeat and was replaced by General Philippe Petain, who had rallied the army in the darkest days of Verdun. But Nivelle had broken the French Army on the wheel of the Chemin des Dames. Troops being marched to the front began singing rebellious songs and baa’ing like sheep going to slaughter.
Early in May, as stories of the massacre on the Aisne spread, the veteran 21st Div., which fought heroically at Verdun, mutinied and refused to go into battle. The division was decimated in the old Roman form of unit punishment, mutiny ringleaders were summarily shot or sent to Devil’s Island. The 21st returned to battle on the Aisne — and was slaughtered.
This horror ignited massive mutiny along the entire front. By June, 54 divisions — half France’s Army — had mutinied and refused to fight. Only two reliable divisions stood between the Germans and Paris. Incredibly, German intelligence never learned of the mutinies until months later — the greatest intelligence failure of World War I.
The mutinies were ruthlessly put down by General Petain. To this day, France still keeps secret the number of mutineers executed in 1917 “to give courage to the others." The figures range from hundreds up to 50,000. According to some reports, entire mutinous battalions were ringed by field guns and massacred at point-blank range.
Tragically, had Germany learned of the mutinies, the war might have ended in 1917 by negotiations or a German drive on Paris. All sides were exhausted and war-weary, but no one dared make the first move towards peace.
Had the war ended in a draw in 1917, Germany’s collapse and defeat the following year would have been averted — and along with it, the cruel injustice of the Versailles Treaty, and the postwar rapacity of the victorious allies. If a fair peace had come in 1917, there would have been no Adolf Hitler to seek revenge for Germany’s humiliation, no Jewish Holocaust, no communist revolution in Russia, no Stalin and his White Holocaust of Catholics and Muslims, and perhaps not even Mao.
### These data records were left in the entry by mistake
This record from the OMol25 dataset describes 2 unconnected molecules or ions with the total composition C7H11N2O2. The level of theory is wB97M-V/def2-TZVPD.

Positions of all 22 atoms, in Å:
C1 0.55044 -3.32574 -0.52353
C2 1.60333 -2.15572 -0.84392
C3 -0.62008 -2.64228 0.30327
O1 -0.84775 -2.82216 1.46391
O2 -0.79149 -1.58192 -0.31948
H1 0.08926 -3.34779 -1.57644
H2 0.86048 -4.22511 -0.08642
H3 1.16913 -1.61191 -1.74273
H4 2.49838 -2.71267 -1.07746
H5 1.79032 -1.46504 -0.00388
C4 -0.47241 3.76226 -0.71385
C5 -0.42446 1.50479 2.10184
C6 -0.42292 2.67142 0.25158
C7 -0.51473 1.26600 -0.18325
N1 -0.24624 2.83140 1.61058
N2 -0.69500 0.53468 1.09261
H6 -0.46593 1.15882 3.08545
H7 -1.04495 -0.46907 1.11630
H8 -0.36457 0.64810 -1.13287
H9 -0.48090 3.27027 -1.70860
H10 0.33788 4.51772 -0.61397
H11 -1.50777 4.19396 -0.49911

Total charge: -1
Kohn-Sham gap in eV: 8.25
Lowest unoccupied orbital energy in hartree: 0.139
ΔE to the lowest compared entry with this formula, charge and spin in kJ/mol: 270.67

How is the electron density shared among the atoms? According to Mulliken, the charges in e are: C -0.681; C -0.813; C 0.561; O -0.718; O -0.715; H 0.172; H 0.514; H 0.159; H 0.357; H 0.209; C -0.868; C -0.369; C 0.483; C -0.203; N -0.680; N 0.011; H 0.459; H 0.269; H 0.163; H 0.237; H 0.273; H 0.180

This record from the OMol25 dataset describes 2 unconnected molecules or ions with the total composition C7H11N2O2. The level of theory is wB97M-V/def2-TZVPD.

Positions of all 22 atoms, in Å:
C1 -1.62955 2.56057 0.69750
C2 -0.73056 1.55094 1.34550
C3 -0.37085 0.31057 0.91148
C4 0.60026 0.75830 2.80002
N1 -0.10198 1.83249 2.53181
N2 0.55953 -0.15211 1.80565
H1 -2.48898 2.75621 1.34904
H2 -1.91668 2.31901 -0.32022
H3 -0.66603 -0.30272 0.07872
H4 1.25338 0.64375 3.65396
H5 0.89595 -1.10973 1.88917
H6 -1.07866 3.50018 0.71216
C5 0.20519 -1.89042 -1.66951
C6 0.28702 -0.71693 -2.62375
C7 1.30874 -1.92297 -0.55876
O1 2.44104 -1.57247 -0.93003
O2 0.96954 -2.49725 0.51602
H7 -0.75983 -1.93154 -1.15256
H8 0.28329 -2.81787 -2.24201
H9 0.02058 0.26507 -2.23698
H10 -0.36136 -0.93918 -3.48591
H11 1.27997 -0.64391 -3.07131

Total charge: -1
Kohn-Sham gap in eV: 8.32
Lowest unoccupied orbital energy in hartree: 0.137
ΔE to the lowest compared entry with this formula, charge and spin in kJ/mol: 20.66

How is the electron density shared among the atoms? According to Mulliken, the charges in e are: C -1.162; C 0.432; C -0.257; C -0.271; N -0.745; N 0.095; H 0.263; H 0.290; H 0.290; H 0.395; H 0.218; H 0.307; C -0.426; C -0.931; C 0.569; O -0.739; O -0.851; H 0.336; H 0.388; H 0.222; H 0.313; H 0.263

This record from the OMol25 dataset describes a gas-phase ion, C7H11N2O2 (charge +1). The level of theory is wB97M-V/def2-TZVPD.

Positions of all 22 atoms, in Å:
C1 -0.99936 1.21539 0.07475
C2 0.13032 1.89649 0.29217
C3 -1.65733 -0.99385 -0.32244
C4 -2.41460 1.09156 0.48165
C5 1.27455 1.06467 0.00059
C6 1.23170 -1.07870 -1.26721
C7 0.94657 -1.11585 1.04569
### The data records stop here
At the Chemin des Dames, tragedy heaps on tragedy. It was all very long ago, but we should still weep today, both for the brave soldiers who fell on both sides, and for suffering mankind.